-- Contents --
- - -
Li7Mn4CoO12: simulated XRD peak list (Cu Kα (λ = 1.5418 Å)), based on a crystal structure in the Materials Project, relaxed with PBE+U.

Main lines, sorted by position (15 to 90 degrees two-theta):
two_theta	Rel. int.
18.35	100.0
21.06	9.5
34.73	16.4
36.34	25.2
41.82	32.1
44.22	53.6
47.32	9.0
58.26	9.6
62.49	31.4
64.89	11.0

```
data_Li7Mn4CoO12
_chemical_formula_sum 'Li7 Mn4 Co1 O12'
_symmetry_space_group_name_H-M 'P 1 2 1'
_symmetry_Int_Tables_number 3
_symmetry_space_group_name_Hall 'P 2y'
_cell_length_a 5.211
_cell_length_b 8.627
_cell_length_c 5.215
_cell_angle_alpha 90.00
_cell_angle_beta 111.93
_cell_angle_gamma 90.00
loop_
_atom_site_label
_atom_site_type_symbol
_atom_site_fract_x
_atom_site_fract_y
_atom_site_fract_z
Li1 Li 0.000 0.000 0.000
Li2 Li 0.000 0.158 0.500
Li3 Li 0.000 0.321 0.000
Li4 Li 0.000 0.490 0.500
Li5 Li 0.000 0.659 0.000
Li6 Li 0.000 0.832 0.500
Li7 Li 0.500 0.157 0.000
Mn1 Mn 0.500 0.324 0.500
Mn2 Mn 0.500 0.491 0.000
Mn3 Mn 0.500 0.660 0.500
Mn4 Mn 0.500 0.835 0.000
Co1 Co 0.500 0.000 0.500
O1 O 0.263 0.981 0.762
O2 O 0.265 0.493 0.276
O3 O 0.266 0.663 0.777
O4 O 0.270 0.162 0.282
O5 O 0.285 0.334 0.741
O6 O 0.290 0.830 0.251
```

----------

[1]
Calculated PXRD pattern
Compound: V11S16
Radiation: Cu Kα
Structure: a structure optimized by DFT (GGA-PBE)
Intensities are scaled so that the largest is 100.

Crystal structure
abc: 6.543 8.949 10.113
angles: 103.90 104.51 96.96
Fractional coordinates of all 27 atoms:
V 0.000 0.000 0.000
V 0.004 0.504 0.345
V 0.056 0.746 0.666
V 0.267 0.406 0.940
V 0.365 0.453 0.246
V 0.371 0.076 0.874
V 0.384 0.576 0.588
V 0.402 0.144 0.279
V 0.448 0.811 0.264
V 0.636 0.332 0.093
V 0.673 0.836 0.566
S 0.154 0.891 0.166
S 0.199 0.547 0.754
S 0.238 0.332 0.416
S 0.250 0.217 0.064
S 0.336 0.683 0.399
S 0.410 0.876 0.697
S 0.511 0.301 0.840
S 0.518 0.604 0.111
S 0.655 0.030 0.416
S 0.683 0.369 0.340
S 0.692 0.072 0.040
S 0.739 0.629 0.685
S 0.910 0.742 0.439
S 0.978 0.993 0.766
S 0.979 0.474 0.114
S 0.991 0.342 0.733

The 10 most intense peaks (10 to 90 degrees two-theta), most intense first:
two_theta  Rel. int.
11.89  100
39.93  27
14.25  23
14.63  17
21.46  16
15.89  15
43.70  14
24.09  14
17.91  13
44.68  12


[2]
Calculated PXRD pattern
Compound: SiO2
Radiation: Cu Kα
Structure: a structure optimized by DFT (GGA-PBE)
Intensities are scaled so that the largest is 100.

Crystal structure
abc: 5.449 5.449 5.493
angles: 96.22 96.22 99.97
Fractional coordinates of all 12 atoms:
Si 0.051 0.949 0.500
Si 0.484 0.636 0.427
Si 0.636 0.484 0.927
Si 0.949 0.051 0.000
O 0.099 0.126 0.281
O 0.126 0.099 0.781
O 0.230 0.741 0.473
O 0.446 0.514 0.136
O 0.514 0.446 0.636
O 0.741 0.230 0.973
O 0.746 0.843 0.470
O 0.843 0.746 0.970

The 10 most intense peaks (10 to 90 degrees two-theta), most intense first:
two_theta  Rel. int.
21.29  100
25.80  68
21.84  50
24.94  32
33.09  25
69.35  15
37.66  13
16.66  13
33.69  11
35.19  11


[3]
Calculated PXRD pattern
Compound: SrMg15
Radiation: Cu Kα
Structure: a structure optimized by DFT (GGA-PBE)
Intensities are scaled so that the largest is 100.

Crystal structure
abc: 6.609 6.609 10.423
angles: 90.00 90.00 120.00
Fractional coordinates of all 16 atoms:
Sr 0.000 0.000 0.000
Mg 0.000 0.000 0.500
Mg 0.009 0.505 0.000
Mg 0.170 0.341 0.260
Mg 0.170 0.341 0.740
Mg 0.170 0.830 0.260
Mg 0.170 0.830 0.740
Mg 0.495 0.505 0.000
Mg 0.495 0.991 0.000
Mg 0.501 0.002 0.500
Mg 0.501 0.499 0.500
Mg 0.659 0.830 0.260
Mg 0.659 0.830 0.740
Mg 0.667 0.333 0.246
Mg 0.667 0.333 0.754
Mg 0.998 0.499 0.500

The 10 most intense peaks (10 to 90 degrees two-theta), most intense first:
two_theta  Rel. int.
35.79  100
31.25  25
34.42  24
67.07  19
62.55  18
55.62  18
47.17  15
67.93  14
17.68  12
23.08  8


[4]
Calculated PXRD pattern
Compound: HoGe2Pd
Radiation: Cu Kα
Structure: a structure optimized by DFT (GGA-PBE)
Intensities are scaled so that the largest is 100.

Crystal structure
abc: 9.421 9.421 4.241
angles: 90.00 90.00 155.31
- - -

-- Wanted --
Reproduce the block earlier on from the line with "angles: 96.22" to the end verbatim, please.

-- Result --
angles: 96.22 96.22 99.97
Fractional coordinates of all 12 atoms:
Si 0.051 0.949 0.500
Si 0.484 0.636 0.427
Si 0.636 0.484 0.927
Si 0.949 0.051 0.000
O 0.099 0.126 0.281
O 0.126 0.099 0.781
O 0.230 0.741 0.473
O 0.446 0.514 0.136
O 0.514 0.446 0.636
O 0.741 0.230 0.973
O 0.746 0.843 0.470
O 0.843 0.746 0.970

The 10 most intense peaks (10 to 90 degrees two-theta), most intense first:
two_theta  Rel. int.
21.29  100
25.80  68
21.84  50
24.94  32
33.09  25
69.35  15
37.66  13
16.66  13
33.69  11
35.19  11


[3]
Calculated PXRD pattern
Compound: SrMg15
Radiation: Cu Kα
Structure: a structure optimized by DFT (GGA-PBE)
Intensities are scaled so that the largest is 100.

Crystal structure
abc: 6.609 6.609 10.423
angles: 90.00 90.00 120.00
Fractional coordinates of all 16 atoms:
Sr 0.000 0.000 0.000
Mg 0.000 0.000 0.500
Mg 0.009 0.505 0.000
Mg 0.170 0.341 0.260
Mg 0.170 0.341 0.740
Mg 0.170 0.830 0.260
Mg 0.170 0.830 0.740
Mg 0.495 0.505 0.000
Mg 0.495 0.991 0.000
Mg 0.501 0.002 0.500
Mg 0.501 0.499 0.500
Mg 0.659 0.830 0.260
Mg 0.659 0.830 0.740
Mg 0.667 0.333 0.246
Mg 0.667 0.333 0.754
Mg 0.998 0.499 0.500

The 10 most intense peaks (10 to 90 degrees two-theta), most intense first:
two_theta  Rel. int.
35.79  100
31.25  25
34.42  24
67.07  19
62.55  18
55.62  18
47.17  15
67.93  14
17.68  12
23.08  8


[4]
Calculated PXRD pattern
Compound: HoGe2Pd
Radiation: Cu Kα
Structure: a structure optimized by DFT (GGA-PBE)
Intensities are scaled so that the largest is 100.

Crystal structure
abc: 9.421 9.421 4.241
angles: 90.00 90.00 155.31